
  • Projects
  • The Performance Interest in the Contract Laws of Asia

The Performance Interest in the Contract Laws of Asia

This research is funded by the MOE Academic Research Fund Tier 1 and supported by the National University of Singapore (NUS) Centre for Asian Legal Studies (CALS), NUS Centre for Banking & Finance Law (CFBL) & NUS EW Barker Centre for Law & Business (EWBCLB).

24 July 2013

== Materials data from another source follow ==
- - -
Simulated powder X-ray diffraction pattern of LiDyHo2 for a wavelength of 1.5418 Å, from the PBE geometry in Alexandria.

Peak list (6 most intense, 2θ from 5° to 70°, in order of rising 2θ)
| 2theta | d [Å] | Rel. int. | hkl |
| --- | --- | --- | --- |
| 19.96 | 4.448 | 23 | 1 1 1 |
| 23.09 | 3.852 | 13 | 2 0 0 |
| 32.88 | 2.724 | 100 | 2 2 0 |
| 38.76 | 2.323 | 13 | 3 1 1 |
| 47.18 | 1.926 | 18 | 4 0 0 |
| 58.70 | 1.573 | 38 | 4 2 2 |

Cell and atoms:
```
data_LiDyHo2
_chemical_formula_sum 'Li4 Dy4 Ho8'
_space_group_name_H-M_alt 'F m -3 m'
_space_group_IT_number 225
_space_group_name_Hall '-F 4 2 3'
_cell_length_a 7.7049
_cell_length_b 7.7049
_cell_length_c 7.7049
_cell_angle_alpha 90.00
_cell_angle_beta 90.00
_cell_angle_gamma 90.00
loop_
_atom_site_label
_atom_site_type_symbol
_atom_site_fract_x
_atom_site_fract_y
_atom_site_fract_z
Li1 Li 0.0000 0.0000 0.0000
Dy1 Dy 0.0000 0.0000 0.5000
Ho1 Ho 0.2500 0.2500 0.2500
```


Simulated powder X-ray diffraction pattern of Li2Dy2HoMg5 for a wavelength of 1.5418 Å, from the PBE geometry in Alexandria.

Peak list (6 most intense, 2θ from 5° to 70°, in order of rising 2θ)
| 2theta | d [Å] | Rel. int. | hkl |
| --- | --- | --- | --- |
| 18.82 | 4.714 | 61 | 2 1 0 |
| 20.15 | 4.408 | 47 | 0 0 1 |
| 27.71 | 3.220 | 80 | 2 1 1 |
| 31.43 | 2.846 | 53 | 2 2 1 |
| 33.71 | 2.659 | 100 | 3 1 1 |
| 35.10 | 2.557 | 45 | 4 1 0 |

Cell and atoms:
```
data_Li2Dy2HoMg5
_chemical_formula_sum 'Li4 Dy4 Ho2 Mg10'
_space_group_name_H-M_alt 'P 4/m b m'
_space_group_IT_number 127
_space_group_name_Hall '-P 4 2ab'
_cell_length_a 10.5410
_cell_length_b 10.5410
_cell_length_c 4.4079
_cell_angle_alpha 90.00
_cell_angle_beta 90.00
_cell_angle_gamma 90.00
loop_
_atom_site_label
_atom_site_type_symbol
_atom_site_fract_x
_atom_site_fract_y
_atom_site_fract_z
Li1 Li 0.1151 0.3849 0.0000
Dy1 Dy 0.1798 0.6798 0.0000
Ho1 Ho 0.0000 0.0000 0.0000
Mg1 Mg 0.0000 0.5000 0.5000
Mg2 Mg 0.0635 0.2134 0.5000
```


Simulated powder X-ray diffraction pattern of LiDyHoRe for a wavelength of 1.5418 Å, from the PBE geometry in Alexandria.

Peak list (6 most intense, 2θ from 5° to 70°, in order of rising 2θ)
| 2theta | d [Å] | Rel. int. | hkl |
| --- | --- | --- | --- |
| 22.17 | 4.009 | 29 | 1 1 1 |
| 25.66 | 3.472 | 9 | 2 0 0 |
| 36.60 | 2.455 | 100 | 2 2 0 |
| 43.21 | 2.094 | 15 | 3 1 1 |
| 52.72 | 1.736 | 18 | 4 0 0 |
| 65.89 | 1.418 | 36 | 4 2 2 |

Cell and atoms:
```
data_LiDyHoRe
_chemical_formula_sum 'Li4 Dy4 Ho4 Re4'
_space_group_name_H-M_alt 'F -4 3 m'
_space_group_IT_number 216
_space_group_name_Hall 'F -4 2 3'
_cell_length_a 6.9445
_cell_length_b 6.9445
_cell_length_c 6.9445
_cell_angle_alpha 90.00
_cell_angle_beta 90.00
_cell_angle_gamma 90.00
loop_
_atom_site_label
_atom_site_type_symbol
_atom_site_fract_x
_atom_site_fract_y
_atom_site_fract_z
Li1 Li 0.0000 0.0000 0.0000
Dy1 Dy 0.2500 0.2500 0.7500
Ho1 Ho 0.2500 0.2500 0.2500
Re1 Re 0.0000 0.0000 0.5000
```
- - -
== Here the page continues ==

Contract law is the backbone of commerce, making it an immensely important tool which facilitates all kinds of economic activity. Important practical problems emerge, particularly in globalised jurisdictions like Singapore, when commercial actors from countries with different legal systems transact and have different expectations of the remedies the legal system provides when the contracted performance falls short of the promises. This project is the first in a series of six proposed collections on the comparative contract laws of Asia, entitled “Studies in Asian Contract Law”.* It promises to enhance the position of Singapore as a venue and catalyst for collaboration amongst legal scholars in Asia, and as the generator of the highest quality comparative law research commanding widespread international attention from East and West. While there is a long history of comparative law studies of the private law in European jurisdictions – such that there is a healthy body of such literature in the English language – there is a relative dearth of comparative studies of the contract laws of Asian jurisdictions. Such comparative law projects that exist tend to look to jurisdictions within their legal tradition. For example, China, Japan and Korea tend to look toward their continental cousins, and the international restatements like PECL, PICC and the DCFR. The lines of comparison have thus tended to flow toward the continental countries – in particular Germany. Moreover, contract law scholars in Asia (and in particular those in Civilian jurisdictions with Civil Codes) have tended to concentrate their scholarly inquiries on the doctrinal or textual rules, and their coherency within the jurisdictional framework.

By focusing on Asian countries as subjects of comparison, this project seeks to build bridges across the different traditions within Asia and to bridge the gap in the literature (and the gulf of ignorance in the ‘West’ about the contract laws in Asian jurisdictions). It is also timely given the clear interest in the rising power of Asia economies. In particular the proposal seeks to provide readers with an English language account of: (i) the law on different contract law topics in different Asian jurisdictions; (ii) the issues, policies and approaches of different Asian jurisdictions; (iii) an extensive bibliography to facilitate readers’ further research, and (iv) an overview introductory essay which will, inter alia, identify similarities and differences in themes, value-preferences and theoretical underpinnings that run through the contract laws in Asia, and make some initial observations about how this relates to European contract law. The aim is to produce a series of books that will become the indispensable first stop for anyone interested in the contract laws of Asia.

The immediate project investigates the nature of the Performance Interest in the Contract Laws of Asia (“Performance Interest” Project). Where contracting parties fail to perform their obligations, the law might require the defaulting party to pay a sum to the aggrieved party, or order the defaulting party to perform her obligation (or the agreed remedy) for failure to do so, viz. specific remedies. While there might be common agreement that “contracts are made to be performed”, legal systems differ in their readiness to order specific remedies. While the difference in legal traditions must play a part, so must the particular legal system’s conception of the nature of the core contractual right – is it to receive the promised performance or merely monetary compensation for the losses suffered? The answer goes well beyond the ‘specific remedies versus damages’ debate and includes examination of the law’s readiness to order specific performance or the remedies the parties have agreed in the contract, as well as the scope of ‘loss’ for which compensation may be awarded.